Brief:
Next, filter the material below: keep the lines with the word "N2".
Material:
- - -
A) Entry from the OMol25 dataset: a gas-phase ion, C2H8N5 (charge +1) (wB97M-V/def2-TZVPD).

Results
structure (SMILES) = [H]/N=N/N/[NH+]=C(/C)N
HOMO level (spin up / spin down) = -0.49573 / -0.49572 Eh
net charge = +1
LUMO energy (spin up / spin down) = -3.812 / -3.812 eV

Bonds (Å) are listed after each position.
Element x y z (Å)
1 N 0.761 0.323 1.676  C7 1.348, H8 1.014, H13 1.004
2 N 0.401 -2.782 -2.322  N4 1.243, H9 0.993
3 N 0.226 -1.218 -0.743  N4 1.312, N5 1.319, H14 0.988
4 N -0.165 -1.774 -1.866  N2 1.243, N3 1.312
5 N -0.247 -0.008 -0.518  N3 1.319, C7 1.324, H15 1.014
6 C -0.644 1.988 0.843  C7 1.512, H10 1.159, H11 1.167, H12 1.128
7 C 0.006 0.644 0.606  N1 1.348, N5 1.324, C6 1.512
8 H 1.169 1.021 2.289  N1 1.014
9 H 0.014 -3.037 -3.201  N2 0.993
10 H -0.242 2.780 0.099  C6 1.159
11 H -1.779 1.714 0.848  C6 1.167
12 H -0.463 2.463 1.850  C6 1.128
13 H 0.983 -0.636 1.875  N1 1.004
14 H 0.646 -1.775 -0.045  N3 0.988
15 H -0.665 0.296 -1.391  N5 1.014

B) Entry from the OMol25 dataset: 2 unconnected molecules or ions with the total composition C2H8N5 (wB97M-V/def2-TZVPD).

Results
HOMO level = -0.53655 Eh
net charge = +1
LUMO energy = -4.034 eV

Bonds (Å) are listed after each position.
Element x y z (Å)
1 N -2.260 1.310 0.301  N4 1.260, N5 1.333, H8 1.038
2 N -3.202 -0.568 0.156  N4 1.302, C7 1.383
3 N 1.605 1.157 -0.263  H10 1.032, H11 1.016, H13 1.025, H15 1.112
4 N -3.368 0.711 0.342  N1 1.260, N2 1.302
5 N -1.239 0.495 0.039  N1 1.333, C7 1.297
6 C -1.190 -1.933 -0.367  C7 1.474, H9 1.174, H12 1.031, H14 1.095
7 C -1.850 -0.637 -0.125  N2 1.383, N5 1.297, C6 1.474
8 H -2.290 2.336 0.150  N1 1.038
9 H -2.029 -2.574 -0.880  C6 1.174
10 H 1.589 1.048 -1.289  N3 1.032
11 H 1.695 2.086 0.137  N3 1.016
12 H -0.955 -2.385 0.530  C6 1.031
13 H 2.050 0.338 0.164  N3 1.025
14 H -0.310 -1.894 -1.016  C6 1.095
15 H 0.539 0.850 -0.181  N3 1.112

Q: Which of them is the most stable? A: B).

----------

[1]
The following is a quantum chemistry calculation of a molecular structure, C3H15AlN6O6 at a distorted geometry, from the OMol25 dataset.

XYZ file:
```
31
Properties=species:S:1:pos:R:3:forces:R:3
Al 0.293627 0.831812 -1.730565 0.87 -0.79 1.01
O 0.560897 1.767322 -4.432395 -0.19 -0.53 2.28
H 1.021707 2.619652 -4.306985 -0.13 -0.23 0.05
O 2.129717 0.486752 0.540705 -0.77 0.29 -1.30
H 2.667827 -0.297178 0.316155 -0.36 0.29 0.06
O 1.707287 3.219632 -1.001195 -0.44 -0.29 -0.19
H 2.381207 3.903842 -0.821665 0.12 -0.32 -0.01
C -1.643963 2.822892 0.984385 0.66 -0.45 -1.54
O -1.448143 1.676032 0.554235 -0.01 -0.86 -0.49
N -0.719363 3.767112 0.778375 0.25 1.41 0.59
N -2.778643 3.226652 1.557725 -0.94 0.80 0.88
H 0.175847 3.578912 0.350275 -0.10 -0.32 0.15
H -0.854613 4.667982 1.214535 0.25 -0.07 -0.25
H -2.847373 4.208012 1.786445 -0.17 -0.23 0.03
H -3.662393 2.740672 1.503745 0.52 -0.32 -0.10
C 1.612337 -2.754858 -1.359435 -2.11 2.16 -0.66
O 0.743797 -2.092748 -1.937025 -0.67 0.28 -1.11
N 1.459117 -3.982858 -0.917295 -0.83 -2.29 0.43
N 2.737907 -2.194158 -1.016755 2.49 0.14 1.06
H 0.583057 -4.461508 -1.070595 0.32 0.09 0.05
H 2.180377 -4.422278 -0.363405 -0.38 -0.18 -0.28
H 3.255787 -2.821138 -0.417765 1.17 1.16 -0.22
H 3.017357 -1.307018 -1.410455 0.27 -0.51 0.21
C -1.357833 -1.675928 0.958615 -0.12 0.74 -2.27
O -0.996343 -1.187828 -0.107365 0.52 0.44 -1.49
N -1.783223 -2.919908 1.079855 -0.17 -2.69 -0.65
N -1.466333 -1.030188 2.064755 -0.07 1.97 3.87
H -2.263573 -3.206388 1.920865 0.08 -0.29 -0.57
H -1.673393 -3.521998 0.276415 -0.30 -0.03 0.41
H -1.576593 -1.619078 2.877855 -0.05 0.86 0.22
H -1.456083 -0.022218 2.127965 0.27 -0.23 -0.19
```
Positions in Å, forces in eV/Å.

Computed properties:
E_tot: -31164.3938 eV
HOMO-LUMO gap (spin up / spin down): 0.188 / 0.165 Ha
charge: +1
spin multiplicity: 2
E_HOMO (spin up / spin down): -12.811 / -11.160 eV

=====

[2]
- - -
Done:
4 N -0.165 -1.774 -1.866  N2 1.243, N3 1.312
9 H 0.014 -3.037 -3.201  N2 0.993
4 N -3.368 0.711 0.342  N1 1.260, N2 1.302
7 C -1.850 -0.637 -0.125  N2 1.383, N5 1.297, C6 1.474